_Job_
Say how many lines of the listing further below hold the word "eV", as a bare number.

_Excerpt_
Record 1
Density functional theory data (ωB97M-V with the def2-TZVPD basis set) for a 9-piece molecular cluster, C34H94N8O10 overall at a distorted geometry.

The energy above the lowest of the compared OMol25 structures with the same formula, charge and spin comes out at 50.4 kcal/mol. The HOMO-LUMO gap comes out at 9.29 eV. The value obtained for the total energy is -2542.03269 a.u. Its molecular weight is 775.2 g mol⁻¹. As for the structure (SMILES): COC[C@H](C)N.COC[C@H](C)N.COC[C@H](C)N.COC[C@H](C)N.COC[C@H](C)N.COC[C@H](C)N.COC[C@H](C)N.COC[C@H](C)N.OCCO.

Structure (ORCA input):
```
! RIJCOSX wB97M-V def2-TZVPD def2/J DEFGRID3
* xyz 0 1
C 23.58 -19.62 20.15
O 22.55 -19.12 20.96
C 21.83 -20.21 21.47
C 20.49 -19.85 22.13
C 19.67 -19.04 21.09
N 20.54 -19.18 23.41
H 24.39 -20.08 20.74
H 24.13 -18.82 19.64
H 23.18 -20.28 19.38
H 21.61 -20.94 20.68
H 22.44 -20.71 22.23
H 19.96 -20.80 22.21
H 20.33 -18.53 20.39
H 18.90 -18.35 21.43
H 19.08 -19.75 20.50
H 20.70 -19.80 24.19
H 21.19 -18.41 23.40
C 29.63 -19.24 16.09
O 29.85 -19.97 17.26
C 29.02 -21.12 17.38
C 29.62 -22.07 18.40
C 28.93 -23.43 18.42
N 29.57 -21.45 19.76
H 29.51 -19.89 15.21
H 30.44 -18.52 15.93
H 28.72 -18.62 16.12
H 27.98 -20.93 17.64
H 29.06 -21.53 16.36
H 30.66 -22.26 18.09
H 29.25 -24.04 19.26
H 29.10 -24.09 17.57
H 27.84 -23.30 18.43
H 30.52 -21.66 20.03
H 29.54 -20.46 19.55
C 21.77 -26.15 17.78
O 22.05 -27.07 18.80
C 22.71 -26.57 19.93
C 22.38 -27.37 21.17
C 20.88 -27.46 21.44
N 23.00 -26.79 22.37
H 22.47 -25.32 17.69
H 20.75 -25.76 17.80
H 21.80 -26.72 16.85
H 23.80 -26.51 19.74
H 22.60 -25.49 20.09
H 22.74 -28.40 21.04
H 20.76 -28.22 22.22
H 20.31 -27.64 20.54
H 20.46 -26.56 21.91
H 24.00 -26.90 22.32
H 22.65 -27.26 23.20
C 26.20 -17.69 15.68
O 25.86 -18.29 16.91
C 25.78 -17.32 17.94
C 26.93 -17.44 18.95
C 27.00 -18.82 19.59
N 26.66 -16.46 20.00
H 26.49 -18.42 14.93
H 27.05 -17.00 15.77
H 25.33 -17.14 15.30
H 25.75 -16.30 17.54
H 24.82 -17.37 18.47
H 27.85 -17.26 18.38
H 26.99 -19.51 18.75
H 26.28 -19.11 20.35
H 27.96 -18.88 20.12
H 26.85 -15.54 19.60
H 27.29 -16.56 20.79
C 25.47 -26.48 17.55
O 26.67 -26.43 16.78
C 27.57 -27.49 17.06
C 28.13 -28.11 15.79
C 27.03 -28.81 14.98
N 29.26 -28.96 16.13
H 25.52 -27.15 18.41
H 24.67 -26.78 16.87
H 25.25 -25.46 17.86
H 28.42 -27.05 17.59
H 27.17 -28.31 17.66
H 28.52 -27.30 15.16
H 26.18 -28.14 14.86
H 26.72 -29.66 15.60
H 27.43 -29.21 14.05
H 29.49 -29.55 15.33
H 29.04 -29.68 16.81
C 28.20 -22.79 23.65
O 27.00 -23.21 23.05
C 26.94 -22.85 21.67
C 25.70 -23.45 21.04
C 24.38 -23.14 21.76
N 25.82 -24.94 20.99
H 28.14 -21.72 23.87
H 29.12 -23.06 23.12
H 28.21 -23.27 24.64
H 26.93 -21.75 21.65
H 27.81 -23.15 21.09
H 25.73 -23.16 19.99
H 24.51 -23.52 22.77
H 23.54 -23.64 21.28
H 24.19 -22.08 21.89
H 26.53 -25.27 21.65
H 24.94 -25.21 21.42
C 31.62 -23.01 14.46
O 30.73 -23.83 13.74
C 29.47 -23.94 14.39
C 28.48 -24.78 13.61
C 28.42 -24.37 12.14
N 27.17 -24.67 14.25
H 32.62 -23.19 14.08
H 31.67 -23.25 15.53
H 31.28 -21.97 14.36
H 29.66 -24.35 15.39
H 29.12 -22.90 14.48
H 28.74 -25.84 13.51
H 27.74 -25.03 11.60
H 29.40 -24.30 11.67
H 27.94 -23.38 12.10
H 27.10 -23.75 14.67
H 27.11 -25.29 15.06
C 20.75 -26.24 11.19
O 20.70 -25.48 12.37
C 21.75 -24.57 12.55
C 23.08 -25.14 13.04
C 23.03 -26.09 14.22
N 24.06 -24.06 13.17
H 21.70 -26.78 11.05
H 20.67 -25.64 10.27
H 19.91 -26.92 11.25
H 21.86 -24.06 11.58
H 21.46 -23.76 13.23
H 23.39 -25.79 12.21
H 22.91 -25.73 15.24
H 23.97 -26.66 14.19
H 22.21 -26.80 14.08
H 24.98 -24.44 13.41
H 24.25 -23.74 12.22
O 23.86 -22.31 18.16
C 24.95 -21.54 17.67
C 24.94 -21.65 16.17
O 25.16 -22.97 15.69
H 24.02 -23.11 17.64
H 25.02 -20.50 17.98
H 25.93 -21.93 17.99
H 25.80 -21.12 15.74
H 24.01 -21.15 15.87
H 24.74 -23.19 14.84
*
```

---

Record 2
Density functional theory data (ωB97M-V with the def2-TZVPD basis set) for C26H66ClF5InNO11P as an isolated structure at a distorted geometry.

_Reply_
1